Qlarity Access Blog

Is Your Data Collection Plan Missing This One Critical Thing?

Written by Colson Steber | Feb 3, 2016 6:34:48 PM


Research and data collection is usually a fully collaborative effort. Just as with any type of collaboration, there is the chance for errors, misunderstandings, confusion and even chaos.

Study teams can mitigate these potential risks while taking full advantage of their research’s collaborative nature by holding a robust orientation/briefing session that takes place well before data collection even begins. In fact, the moment you are forming a data collection plan is the perfect opportunity to ensure that every team member is on the same page.

This critical step — confirming the policies, parameters and guidelines among all team members before data collection — is often overlooked. But when teams take the time to perform it, they can achieve higher-quality, more accurate data that is repeatable and reproducible.

Starting with Your Data Collection Plan

You are likely familiar with how a prototypical data collection plan is structured, but, just to recap, the main elements are as follows:

  • A description of the project in brief
  • The type of data being collected
  • The rationale behind collecting the data and the collection method
  • The method of data collection
  • The anticipated insight that the data could reveal
  • The intended use of the data

Noting Critical Factors

**These data records were left in the article by mistake:**
- - -
[1]
{
  "formula": "ZnBiAu3",
  "functional": "PBE",
  "state": "optimized geometry",
  "lattice_angstrom": [[5.425, 0.000, 0.000], [0.000, 5.425, 0.000], [0.000, 0.000, 5.425]],
  "species": ["Zn", "Bi", "Au", "Au", "Au"],
  "frac_coords": [[0.000, 0.000, 0.000], [0.500, 0.500, 0.500], [0.000, 0.500, 0.500], [0.500, 0.000, 0.500], [0.500, 0.500, 0.000]],
  "formation_energy_ev_per_atom": 0.613,
  "e_tot_ev_per_atom": -2.384,
  "e_above_lowest_polymorph_kj_per_mol_atoms": 58.4,
  "dos_at_fermi_per_ev_atom": 0.08
}



[2]
{
  "formula": "CoTe2Se",
  "functional": "PBE",
  "state": "optimized geometry",
  "lattice_angstrom": [[-1.725, 2.233, 6.019], [1.725, -2.233, 6.019], [1.725, 2.233, -6.019]],
  "species": ["Co", "Te", "Te", "Se"],
  "frac_coords": [[0.000, 0.000, 0.000], [0.160, 0.660, 0.500], [0.840, 0.340, 0.500], [0.500, 0.500, 0.000]],
  "formation_energy_uncorrected_ev_per_atom": 0.16,
  "e_tot_ev_per_atom": -4.057,
  "dos_at_fermi_per_ev_atom": 0.70
}



[3]
{
  "formula": "Ba2ThCu2Se5",
  "functional": "PBE",
  "state": "optimized geometry",
  "lattice_angstrom": [[7.144, -2.151, 0.000], [7.144, 2.151, 0.000], [-4.232, 0.000, 8.896]],
  "species": ["Ba", "Ba", "Th", "Cu", "Cu", "Se", "Se", "Se", "Se", "Se"],
  "frac_coords": [[0.175, 0.175, 0.192], [0.825, 0.825, 0.808], [0.000, 0.000, 0.500], [0.448, 0.448, 0.210], [0.552, 0.552, 0.790], [0.149, 0.149, 0.813], [0.383, 0.383, 0.565], [0.500, 0.500, 0.000], [0.617, 0.617, 0.435], [0.851, 0.851, 0.187]],
  "formation_energy_uncorrected_ev_per_atom": -1.44,
  "e_tot_ev_per_atom": -5.130
}



[4]
{
  "formula": "LaDy2Zn2Ga2",
  "functional": "PBE",
  "state": "optimized geometry",
  "lattice_angstrom": [[2.245, 1.296, 9.440], [-2.245, 1.296, 9.440], [0.000, -2.593, 9.440]],
  "species": ["La", "Dy", "Dy", "Zn", "Zn", "Ga", "Ga"],
  "frac_coords": [[0.000, 0.000, 0.000], [0.129, 0.129, 0.129], [0.871, 0.871, 0.871], [0.407, 0.407, 0.407], [0.593, 0.593, 0.593], [0.256, 0.256, 0.256], [0.744, 0.744, 0.744]],
  "formation_energy_ev_per_atom": -0.414,
  "e_tot_ev_per_atom": -3.662,
  "dos_at_fermi_per_ev_atom": 0.61
}


Here is an optimized crystal structure of Zn2GaPb from Alexandria via LeMat-Bulk. Energies are from PBE.

Calculated values
The value obtained for the density is 7.89 Mg/m³. The formation energy is 0.149 eV/atom. Its energy relative to the lowest polymorph listed for this composition is 28 meV per atom. The magnetic moment is 0.00 μB/atom. The total energy comes out at -2.172 eV/atom. As for the calculated volume: 21.46 A^3/atom.

Unit cell a=3.490 b=3.490 c=8.382 alpha=77.98 beta=77.98 gamma=60.00
Positions (direct):
Pb (0.500, 0.500, 0.500)
Zn (0.261, 0.261, 0.218)
Zn (0.739, 0.739, 0.782)
Ga (0.000, 0.000, 0.000)


Here is an optimized crystal structure of Zn6Ga2Pb from Alexandria via LeMat-Bulk. Energies are from PBE.

Calculated values
- - -

The two bullets highlighted in bold above emphasize critical sources of misunderstanding amongst team members. First, explaining the rationale behind the data collection plan can help guide decision-making in the act of data recording while also giving team members an operative “mode” of thought that can govern their approach to the study in general.

Looking at the second bullet, the methodology description for data collection will likely be lengthy and complex when examined in detail, but one critical element to highlight now is how team members will handle “cusp” values during collection. For instance, if you will be applying numerical values to qualitative observations, explicitly state how one would decide upon one value over the other. For instance, regarding “subject enjoyment” values between one and five, what is the test between a four and a five? If researchers are unsure, should they err towards the lower or higher number? This line of thought can help quantitative values, too, since not every number obtained will necessarily be a discrete integer in all instances.

Agreeing on how to handle cusp values will provide the heuristics needed for every team member to collect data in the same way. Otherwise, two members would score the exact same observations differently.

Test, Confirm and Debrief

Having every team member seemingly in agreement is not enough. Provide test instances to ensure repeatability and reproducibility among team members. Correct erroneous behaviors. After collection sessions have occurred, review behaviors with a debrief to see if policies are being followed. This type of diligence can prevent teams from having to scrap pages of data simply because team members had different ideas of how to record their observations.

Get Even Smarter About Field Data Collection

Having a solid data collection plan and clear discussions on methodology is a great start, but it is not everything. Ensure that your research team is following best practices from start to finish by reading our free guide to working with a market research field data collection partner.